Once again science has presented evidence that a new geological epoch is here. This human footprint is all our own work.
LONDON, 21 October, 2020 − The human footprint has left its mark on Earth, in every sense. The United States alone is scarred by 500,000 abandoned mines and quarries.
Right now, worldwide, there are more than 500,000 active quarries and pits, employing 4 million people, excavating the sand and gravel needed for new roads, new homes and new megacities.
Humans have not simply pitted the face of the Earth, they have paved it. In 1904, beyond the cities, the US had just 225 km of sealed highway. Now it has 4.3m km of asphalt or concrete roadway, consuming more than 20 billion tonnes of sand and gravel.
By comparison, the Great Wall of China, the biggest and most enduring construction in early human history, contains just 0.4bn tonnes of stone.
Humans have changed the face of the waters. In 1950, trawlers, long-liners and purse seiners fished just 1% of the high seas beyond territorial waters. No fish species of any kind was considered over-exploited or depleted.
{"formula": "Tl6Au7", "functional": "PBE", "state": "optimized geometry", "lattice": [[2.817, 1.626, 11.311], [-2.817, 1.626, 11.311], [0.000, -3.252, 11.311]], "species": ["Tl", "Tl", "Tl", "Tl", "Tl", "Tl", "Au", "Au", "Au", "Au", "Au", "Au", "Au"], "frac_coords": [[0.051, 0.051, 0.051], [0.156, 0.156, 0.156], [0.325, 0.325, 0.325], [0.675, 0.675, 0.675], [0.844, 0.844, 0.844], [0.949, 0.949, 0.949], [0.093, 0.593, 0.593], [0.407, 0.407, 0.907], [0.407, 0.907, 0.407], [0.500, 0.500, 0.500], [0.593, 0.093, 0.593], [0.593, 0.593, 0.093], [0.907, 0.407, 0.407]], "sg": "R-3m, No. 166", "energy_ry_per_atom": -0.211}

=====

{"formula": "Tl2Au3", "functional": "PBE", "state": "optimized geometry", "lattice": [[3.565, 2.058, 5.872], [-3.565, 2.058, 5.872], [0.000, -4.116, 5.872]], "species": ["Tl", "Tl", "Tl", "Tl", "Au", "Au", "Au", "Au", "Au", "Au"], "frac_coords": [[0.097, 0.097, 0.097], [0.403, 0.403, 0.403], [0.597, 0.597, 0.597], [0.903, 0.903, 0.903], [0.022, 0.250, 0.478], [0.250, 0.478, 0.022], [0.478, 0.022, 0.250], [0.522, 0.978, 0.750], [0.750, 0.522, 0.978], [0.978, 0.750, 0.522]], "sg": "R-3c, No. 167", "energy_ry_per_atom": -0.207}

=====

{"formula": "Tl3Au", "functional": "PBE", "state": "optimized geometry", "lattice": [[9.423, 0.000, 0.000], [0.000, 12.257, 0.000], [0.000, 0.000, 4.026]], "species": ["Tl", "Tl", "Tl", "Tl", "Tl", "Tl", "Tl", "Tl", "Tl", "Tl", "Tl", "Tl", "Au", "Au", "Au", "Au"], "frac_coords": [[0.000, 0.110, 0.250], [0.000, 0.890, 0.750], [0.203, 0.382, 0.250], [0.203, 0.618, 0.750], [0.297, 0.118, 0.750], [0.297, 0.882, 0.250], [0.500, 0.390, 0.750], [0.500, 0.610, 0.250], [0.703, 0.118, 0.750], [0.703, 0.882, 0.250], [0.797, 0.382, 0.250], [0.797, 0.618, 0.750], [0.000, 0.291, 0.750], [0.000, 0.709, 0.250], [0.500, 0.209, 0.250], [0.500, 0.791, 0.750]], "sg": "Cmcm, No. 63", "polymorph_energy_mev_per_atom": 22, "energy_ry_per_atom": -0.191}

=====

{"formula": "Tl2Au", "functional": "PBE", "state": "optimized geometry", "lattice": [[10.960, 0.000, 0.000], [0.000, 3.601, 0.000], [-1.626, 0.000, 8.253]], "species": ["Tl", "Tl", "Tl", "Tl", "Tl", "Tl", "Tl", "Tl", "Au", "Au", "Au", "Au"], "frac_coords": [[0.000, 0.000, 0.000], [0.045, 0.000, 0.444], [0.253, 0.500, 0.247], [0.338, 0.000, 0.633], [0.500, 0.500, 0.000], [0.545, 0.500, 0.444], [0.753, 0.000, 0.247], [0.838, 0.500, 0.633], [0.117, 0.500, 0.740], [0.272, 0.000, 0.963], [0.617, 0.000, 0.740], [0.772, 0.500, 0.963]], "sg": "Cm, No. 8", "energy_ry_per_atom": -0.196}

=====

{"formula": "Tl2Au", "functional": "PBE", "state": "optimized geometry", "lattice": [[3.559, 0.000, 0.000], [0.000, 3.559, 0.000], [0.000, 0.000, 12.728]], "species": ["Tl", "Tl", "Tl", "Tl", "Au", "Au"], "frac_coords": [[0.000, 0.000, 0.145], [0.000, 0.000, 0.855], [0.500, 0.500, 0.355], [0.500, 0.500, 0.645], [0.000, 0.000, 0.500], [0.500, 0.500, 0.000]], "sg": "I4/mmm, No. 139", "energy_ry_per_atom": -0.198}

=====
End of the crystal structures
Extinction threat widens
Less than one human lifetime on, fishing fleets roam 63% of the high seas and 87% of fish species are exploited, over-exploited or in a state of collapse. Meanwhile somewhere between 5m and almost 13 million tons of discarded plastics flow each year into the sea.
Humans and human livestock now far outweigh all other mammalian life. At least 96% of the mass of all mammals is represented by humans and their domesticated animals. Domestic poultry makes up 70% of the mass of all living birds. The natural world is now endangered, with a million species at risk of extinction.
And humans have left an almost indelible radiant signature over the entire global surface: between 1950 and 1980, nations detonated more than 500 thermonuclear weapons to smear the air and surface of the planet with radioactive materials: one of these, plutonium-239, will be detectable for the next 100,000 years.
**The page is interrupted by crystal structures:**
'''
[1]
Computed, not measured: Ta2ReW after structural relaxation at the PBEsol level of DFT.

```
4
Lattice="-0.006 -2.834 1.453 4.530 -0.072 -0.122 -2.122 3.495 3.319" Properties=species:S:1:pos:R:3 pbc="T T T"
Re 2.265 -0.036 -0.061
W -0.003 -1.417 0.726
Ta 0.070 1.028 2.006
Ta 2.332 -0.439 2.644
```

Output
Space group: Immm
Calculated formation energy in meV/atom: -186

---

[2]
Computed, not measured: Ir3Os after structural relaxation at the PBEsol level of DFT.

```
8
Lattice="-1.119 -2.880 3.080 3.336 -2.960 -1.556 3.599 2.258 3.419" Properties=species:S:1:pos:R:3 pbc="T T T"
Ir 1.443 0.072 0.592
Os 2.345 -1.292 2.734
Ir 4.918 -2.223 2.799
Os 2.230 -1.979 -1.040
Ir 3.133 -3.343 1.102
Ir 0.570 -2.442 1.013
Ir 4.006 -0.829 0.681
Ir 3.256 1.210 2.315
```

Output
Space group: Pmmn
Calculated formation energy in meV/atom: 45

---

[3]
Computed, not measured: Zr2MoP2O12 after structural relaxation at the PBEsol level of DFT.

```
68
Lattice="-5.731 3.242 -6.460 -3.268 -8.673 -1.454 -8.743 1.839 8.680" Properties=species:S:1:pos:R:3 pbc="T T T"
O -12.573 -0.489 0.361
O -5.879 0.861 3.357
O -6.911 -7.209 -1.450
O -12.605 3.294 3.959
P -6.082 -1.156 -3.323
O -12.431 -1.623 3.033
O -10.187 -3.005 -3.775
Mo -9.478 -4.083 0.257
O -7.491 1.897 4.975
O -7.463 -6.012 -3.577
O -9.940 0.024 -3.746
Zr -4.697 1.023 1.688
O -11.381 3.671 -0.637
Zr -5.443 2.198 -3.646
O -11.863 -4.453 -2.590
O -15.072 -0.983 1.653
O -14.357 1.715 1.406
Zr -9.457 -1.545 -2.563
O -11.781 -3.938 3.756
O -6.492 -2.230 2.349
O -8.342 -4.661 -6.165
O -3.385 -5.307 -0.640
O -10.251 -5.489 -4.208
O -9.013 -3.105 -1.128
O -7.555 -0.587 4.541
O -11.771 1.318 2.652
P -11.661 -2.436 4.089
Mo -1.028 -2.049 -0.601
O -6.361 -7.262 1.403
O -5.137 -6.886 -3.193
O -12.245 -2.171 5.480
P -5.086 -2.383 1.763
O -10.183 -2.010 4.062
O -7.559 -1.582 -3.296
O -5.497 -1.421 -4.713
P -12.657 -1.208 -0.996
O -11.216 -4.341 0.206
O -10.279 2.421 4.344
O -2.670 -2.609 -0.886
O -5.962 0.346 -2.990
Mo -7.971 -3.382 -7.313
Zr -8.285 -2.047 3.330
O -9.058 -3.266 1.756
O -6.526 0.749 0.560
P -11.099 -4.242 -3.901
O -7.802 -3.615 4.512
O -8.729 -0.487 1.894
O -11.250 -1.362 -1.582
O -9.401 1.070 6.931
O -10.831 3.618 2.216
Zr -4.473 -3.612 -1.437
O -5.971 -4.910 -1.886
Zr -13.270 0.020 2.204
Zr -12.299 -5.790 4.413
P -6.364 -6.257 -2.527
Zr -13.045 -4.615 -0.921
O -5.169 -3.103 0.406
Mo -8.265 0.492 0.509
O -6.630 1.789 -5.412
O -8.625 -5.620 0.191
P -6.643 0.651 4.667
O -5.311 -1.969 -2.267
O -4.447 -0.991 1.581
O -8.684 -0.326 -0.990
O -11.113 -5.381 6.178
P -11.378 2.665 3.293
O -13.296 -2.601 -0.814
O -9.117 2.028 0.575
```

Output
Space group: Pbcn

---

[4]
Computed, not measured: MgCdAg2 after structural relaxation at the PBEsol level of DFT.

```
4
Lattice="-2.044 -3.932 -1.447 0.370 -1.316 -4.457 2.601 -3.700 -1.130" Properties=species:S:1:pos:R:3 pbc="T T T"
Mg 0.232 -2.237 -1.758
Ag 0.000 0.000 0.000
Ag 0.696 -6.711 -5.275
Cd 0.464 -4.474 -3.517
```

Output
Space group: F-43m
'''
The catalogue of planetary devastation that is the human footprint is assembled in a new study by US and European scientists in the journal Nature Communications: Earth and Environment. It is part of a fresh attempt to settle a seemingly academic question of geological bureaucracy, the naming of ages.
“We humans collectively got ourselves into this mess, we need to work together to reverse these environmental trends and dig ourselves out of it”
The 11,000-year interval since the end of the last Ice Age and the dawn of agriculture, metal smelting, and the first cities, cultures and empires is still formally identified as the Holocene. The latest study of the human legacy is just another salvo in the campaign to announce and confirm the launch of an entirely new epoch, to be called the Anthropocene.
**Calculated crystals, kept here for reference**
<<<
## NdSn12Ir4 (PBE-GGA)

Data for an optimized crystal structure of NdSn12Ir4.

For the total magnetization, the calculation gives 0.000 μB/atom. The uncorrected energy is -183.85 eV per cell. Its calculated formation energy is -3.68 eV per formula unit.

```
data_NdSn12Ir4
_chemical_formula_sum 'Nd2 Sn24 Ir8'
_space_group_name_H-M_alt 'I m -3'
_space_group_IT_number 204
_space_group_name_Hall '-I 2 2 3'
_cell_length_a 9.4793
_cell_length_b 9.4793
_cell_length_c 9.4793
_cell_angle_alpha 90.00
_cell_angle_beta 90.00
_cell_angle_gamma 90.00
loop_
_atom_site_label
_atom_site_type_symbol
_atom_site_fract_x
_atom_site_fract_y
_atom_site_fract_z
_atom_site_occupancy
Nd1 Nd 0.0000 0.0000 0.0000 1
Sn1 Sn 0.0000 0.3384 0.1601 1
Ir1 Ir 0.2500 0.2500 0.2500 1
```

=====

## Tl2ZnPt (PBE-GGA)

Data for an optimized crystal structure of Tl2ZnPt.

For the total magnetization, the calculation gives 0.000 μB/atom. The uncorrected energy is -34.45 eV per cell. Its calculated formation energy is 0.57 eV per formula unit.

```
data_Tl2ZnPt
_chemical_formula_sum 'Tl6 Zn3 Pt3'
_space_group_name_H-M_alt 'R -3 m'
_space_group_IT_number 166
_space_group_name_Hall '-R 3 2"'
_cell_length_a 3.7755
_cell_length_b 3.7755
_cell_length_c 22.9818
_cell_angle_alpha 90.00
_cell_angle_beta 90.00
_cell_angle_gamma 120.00
loop_
_atom_site_label
_atom_site_type_symbol
_atom_site_fract_x
_atom_site_fract_y
_atom_site_fract_z
_atom_site_occupancy
Tl1 Tl 0.0000 0.0000 0.2441 1
Zn1 Zn 0.0000 0.0000 0.0000 1
Pt1 Pt 0.0000 0.0000 0.5000 1
```


(1)
Computed, not measured: an optimized crystal structure of CsTlPO2 at the PBE level of DFT.

Properties
final energy	-2.952	eV/atom
symmetry	P4/mmm, No. 123

Unit cell a=4.4486 b=4.4486 c=5.7957 alpha=90.00 beta=90.00 gamma=90.00
Last column: nearest neighbours and their distance in Å.
Fractional coordinates of all 5 atoms:
Cs1 0.0000 0.0000 0.0000  4 O 2.22
Tl1 0.5000 0.5000 0.5000  4 P 3.15
P1 0.0000 0.0000 0.5000  2 Cs 2.90, 4 Tl 3.15
O1 0.0000 0.5000 0.0000  2 Cs 2.22
O2 0.5000 0.0000 0.0000  2 Cs 2.22

(2)
Computed, not measured: an optimized crystal structure of PaTlTeN at the PBE level of DFT.

Properties
final energy	-6.870	eV/atom
symmetry	P4/nmm, No. 129

Unit cell a=4.0980 b=4.0980 c=11.7442 alpha=90.00 beta=90.00 gamma=90.00
Last column: nearest neighbours and their distance in Å.
Fractional coordinates of all 8 atoms:
Pa1 0.2500 0.2500 0.0935  4 N 2.32
Pa2 0.7500 0.7500 0.9065  4 N 2.32
Tl1 0.2500 0.7500 0.5000  4 Tl 2.90
Tl2 0.7500 0.2500 0.5000  4 Tl 2.90
Te1 0.2500 0.2500 0.7588  4 Pa 3.38, 4 N 3.50, 4 Tl 3.67
Te2 0.7500 0.7500 0.2412  4 Pa 3.38, 4 N 3.50, 4 Tl 3.67
N1 0.2500 0.7500 0.0000  4 Pa 2.32
N2 0.7500 0.2500 0.0000  4 Pa 2.32

(3)
Computed, not measured: an optimized crystal structure of ZnIn2Br at the PBE level of DFT.

Properties
energy above the most stable polymorph in this dataset	25	meV/atom
symmetry	Pm, No. 6

Unit cell a=3.5506 b=5.6514 c=5.5531 alpha=90.00 beta=99.38 gamma=90.00
>>>
In fact, environmental campaigners, biologists and geophysicists have for years been informally calling the last six or seven decades the Anthropocene. But the authority with the last word on internationally-agreed geological labels − the International Commission on Stratigraphy − has yet to confirm the launch of the new geological epoch.
To help confirm the case for change, researchers have once again assembled the evidence and identified at least 16 ways in which humans have dramatically altered the planet since 1950, and the beginning of what is sometimes called The Great Acceleration.
For instance, humans have doubled the quantity of fixed nitrogen in the biosphere, created an alarming hole in the stratospheric ozone layer, released enough gases to raise the planetary temperature and precipitate global climate change, fashioned or forged perhaps 180,000 kinds of mineral (by comparison, only about 5,300 occur naturally) and − with dams, drains, wells, irrigation, and hydraulic engineering − effectively replumbed the world’s river systems.
Ineradicable scar
By forging metals and building structures, humans have become the greatest earth-moving force on the planet, and left a mark that will endure for aeons.
Altogether, humans have altered the world’s rivers, lakes, coastlines, vegetation, soils, chemistry and climate. The study makes grim reading.
“This is the first time that humans have documented humanity’s geological footprint on such a comprehensive scale in a single publication,” said Jaia Syvitski, of the University of Colorado, Boulder, who led the research team that assembled the evidence.
“We humans collectively got ourselves into this mess, we need to work together to reverse these environmental trends and dig ourselves out of it.
“Society shouldn’t feel complacent. Few people who read the manuscript should come away without emotions bubbling up, like rage, grief and even fear.” − Climate News Network